Picture this: a mom with three daughters, a husband who’s always traveling, and a whole lot of car drama. When the youngest daughter was born, the older sisters weren’t exactly thrilled. While the middle daughter embraced her sisterly duties, the oldest kept her distance. Fast forward a few years, and the middle daughter’s hard work and babysitting skills are rewarded with a brand new car from mom and dad. ♀️ But what about the oldest daughter? Let’s dive into this family drama and find out what happened.
Three Daughters, One Mom
Surprise Baby Arrival
Not a Fan of Kids
The Babysitting Angel
Car Savings
A Gift for the Middle Daughter
Oldest Daughter’s Car Situation
Saving for a New Car
No Car for Oldest Daughter
Favoritism Accusations
Not a Punishment ♀️
Sibling Tension
Car Drama Ignites Sibling Rivalry
In a family with three daughters, the middle daughter takes on the role of the loving, helpful sister, always ready to babysit her youngest sibling. She even saves up $10,000 for a new car! Mom and dad decide to reward her by buying her a car themselves. But when the oldest daughter, who isn’t as involved with her youngest sister, finds out, she’s furious! Accusing her parents of favoritism, she demands to know when she’ll get a new car too. Mom explains that they bought the middle daughter a car because of her help and support, but the oldest isn’t having it. Tensions rise and the oldest daughter becomes r**e to her sisters. Is mom in the wrong for not treating her daughters equally? Let’s see what the internet thinks of this situation…
Generosity doesn’t equal punishment for eldest sister. ♀️
Eldest daughter’s entitlement sparks sibling rivalry. NTA parenting wins
Middle child rewarded for help, oldest not punished. NTA ✌️
“Entitled mindset” sparks debate on sibling rivalry and car ownership.
Envious oldest sibling receives no car, harbors resentment towards middle.
Rewarding the middle child sparks sibling rivalry
Sibling rivalry over car reward for middle child’s sacrifice
Acknowledging middle child’s help, but oldest daughter feeling insecure
Sibling rivalry sparked over reward for middle child’s sacrifice
Grateful daughter receives new car, siblings jealous
Curious about the other siblings’ roles
Sibling entitlement sparks heated debate over fair treatment
Sibling rivalry sparks over middle child’s rewarded sacrifice. NTA.
Middle child earned car for service, eldest not entitled to compensation
Sibling rivalry sparked as middle child rewarded for sacrifice
Middle child’s free babysitting sacrifice rewarded with car. NTA.
Generous middle child sparks sibling rivalry with safe car gift
Middle child deserved car for helping with youngest, NTA.
Sibling rivalry over babysitting payment sparks drama
Parent defends rewarding helpful sibling, sparking fairness debate
Rewarding helpfulness and not entitlement
Sibling dynamics and household chores questioned in comment section
Middle child earns new car, eldest not punished but jealous
Daughter rewarded for babysitting, not a**hole move
Middle child gets new car for helping, oldest sibling jealous
Middle child’s hard work pays off with new car, sparking jealousy
- - -
ORCA calculation (ωB97M-V with the def2-TZVPD basis set) on a molecular structure, C56H42Cl2N2O5P2ReS.

Summary:
Total charge: +2
E_LUMO (spin up / spin down) (eV): -5.91 / -6.15
Spin multiplicity: 2
Expectation value of S²: 0.756
Relative energy (zero: lowest compared OMol25 entry of this formula, charge and spin) (eV): 0.000

The geometry in XYZ format:
```
111
Properties=species:S:1:pos:R:3:forces:R:3
Re -0.348486 0.221347 -0.868360 -0.159 0.119 -0.240
O 2.826465 -0.474627 -0.554768 -0.011 0.003 -0.052
S 1.712931 -0.198221 0.348037 0.212 -0.096 0.274
C 2.264197 1.017439 1.520470 0.006 0.052 -0.075
C 3.461503 0.604310 2.079740 0.033 -0.041 0.004
C 4.211372 1.377583 2.970949 0.000 0.031 0.004
C 3.745787 2.629145 3.256936 0.003 -0.023 0.012
C 4.317943 3.695568 4.150260 -0.015 -0.001 -0.013
C 3.401954 4.922008 3.933748 0.003 -0.012 -0.016
C 2.327781 4.435979 2.998842 -0.013 0.023 0.006
C 1.262059 5.098684 2.460729 0.011 0.010 0.002
C 0.443801 4.385446 1.577675 -0.031 -0.002 0.000
C 0.629307 3.055471 1.225473 0.006 0.000 -0.004
P -0.655873 2.477369 0.096566 0.042 -0.055 -0.024
C -2.232586 2.596881 0.995181 0.012 0.026 0.032
C -2.310346 2.978149 2.332625 -0.008 0.024 -0.003
C -3.537141 3.002072 2.984210 0.026 0.009 -0.026
C -4.696910 2.653487 2.309748 -0.004 0.009 -0.001
C -4.631156 2.275487 0.974521 -0.004 0.027 0.005
C -3.407108 2.238585 0.328027 -0.048 0.092 0.032
C -0.683671 3.743956 -1.208770 0.021 -0.013 -0.021
C 0.541488 4.126999 -1.760158 -0.013 0.029 -0.003
C 0.581043 4.998127 -2.837254 -0.004 -0.018 0.010
C -0.600106 5.494519 -3.374260 0.010 0.009 -0.006
C -1.819958 5.129970 -2.822537 -0.022 -0.009 -0.004
C -1.866593 4.258034 -1.740640 -0.014 0.004 -0.017
C 1.754423 2.338215 1.751931 -0.005 -0.005 0.018
C 2.562431 3.091596 2.639881 0.001 -0.008 0.015
C 1.523453 -1.701270 1.292384 -0.025 0.016 -0.008
C 1.641016 -1.736036 2.659894 -0.025 0.052 0.023
C 1.842202 -2.935408 3.375671 0.017 -0.019 -0.001
C 2.017518 -4.089008 2.664527 -0.010 0.000 0.002
C 2.356086 -5.493910 3.096671 0.013 0.017 -0.015
C 2.472182 -6.301977 1.775470 -0.002 0.017 -0.007
C 2.138221 -5.314261 0.685383 -0.003 -0.014 -0.008
C 2.057421 -5.449693 -0.674110 0.014 -0.007 0.004
C 1.614525 -4.343264 -1.421756 0.000 -0.005 0.003
C 1.344105 -3.105242 -0.868565 -0.042 0.013 0.058
P 0.280739 -2.018644 -1.857256 0.025 -0.009 -0.084
C -1.141226 -3.143162 -2.043325 -0.020 0.029 -0.057
C -1.537613 -3.745036 -3.231627 -0.053 0.001 -0.003
C -2.590869 -4.655025 -3.232910 0.012 0.013 -0.009
C -3.241123 -4.978083 -2.053459 0.004 0.000 0.017
C -2.829118 -4.401116 -0.856162 0.000 0.019 0.013
C -1.784773 -3.492264 -0.853285 -0.062 -0.030 -0.001
C 1.064496 -1.773782 -3.460539 0.058 0.006 0.015
C 0.303897 -1.481621 -4.594002 0.014 0.011 -0.027
C 0.929613 -1.196080 -5.796315 -0.015 0.000 0.008
C 2.316147 -1.178569 -5.868060 0.005 -0.006 -0.012
C 3.075924 -1.446112 -4.739004 0.007 -0.009 0.018
C 2.456448 -1.744286 -3.534456 0.007 -0.003 -0.023
C 1.561199 -2.906602 0.524230 0.019 -0.019 -0.018
- - -
**Back to the page**
Mixed opinions on whether middle sister deserves new car
Middle child receives new car as a thank you, NTA wins sibling rivalry
Oldest daughter’s financial situation questioned, adding fuel to rivalry
Birth does not entitle you to parents’ money
Sibling rivalry sparked over car reward. NTA, family therapy suggested.
Mixed feelings on car reward, criticism for attitude towards oldest sibling
Middle child’s hard work rewarded, sparking sibling rivalry
Defending NTA sparks heated entitlement debate in comments
Middle child rewarded for babysitting, no favoritism between siblings.
Middle child rewarded for selfless babysitting, sparking sibling rivalry
Middle child’s unpaid babysitting rewarded with car , justified NTA
Middle child praised, entitled eldest earns a**hole status
Hard work pays off! Lesson for kids on consequences and rewards
A new car for middle child sparks sibling rivalry
Savage NTA comment shuts down entitlement, predicts sibling rivalry.
Middle child deserved new car, oldest isn’t being punished
Daughter’s sacrifice rewarded with car, not just a gift
Middle child’s hard work pays off, sibling rivalry ensues
Middle child finally gets rewarded with new car, no favoritism here
Sibling rivalry over new car for middle child sparks debate.
Rewarding the middle child sparks sibling rivalry. NTA comment.
Sibling rivalry sparked over middle child’s car reward
Middle child’s sacrifice appreciated, oldest sister ungrateful
Middle child rewarded for work, older sibling’s entitlement exposed
Sibling rivalry sparked over entitled sister’s sour grapes
Parenting advice sparks debate on sibling hierarchy and money
Suggests paying both sisters for babysitting to avoid favoritism accusations
Eldest daughter needs to move out to learn independence and humility.
Middle sister deserves the reward for volunteering to help
Sibling rivalry ensues as YTA plays favorites with car gifts
== Misplaced records of molecules ==
____________
1.
Formula: C57H54Cl2CrN5O3P3Se2
Source: the OMol25 dataset
Level of theory: ωB97M-V with the def2-TZVPD basis set

Spin multiplicity = 5
Gap between HOMO and LUMO (spin up / spin down) = 5.927 / 6.857 eV
HOMO level (spin up / spin down) = -5.88 / -6.81 eV
⟨S²⟩ = 6.07

Last column: Mulliken charge in e.
Geometry (Å):
Cr: -0.37407 -0.09845 -1.29022  -0.34
C: 1.15773 0.80786 6.31246  -1.77
C: 1.69411 1.52061 5.06219  1.55
C: 2.54097 2.73484 5.48273  -1.74
C: 2.56795 0.57445 4.26946  1.15
C: 3.69896 0.01470 4.85381  -0.13
C: 4.56711 -0.79721 4.14601  -1.67
C: 4.30001 -1.06577 2.81635  -0.08
C: 3.16624 -0.55206 2.19484  -0.53
P: 2.79360 -0.84896 0.42675  2.72
C: 4.46020 -0.52172 -0.24875  0.87
C: 5.39406 -1.48928 -0.59589  -0.37
C: 6.62446 -1.12028 -1.12388  -0.74
C: 6.93457 0.21992 -1.30485  -0.63
C: 6.00585 1.19377 -0.95851  -0.58
C: 4.77608 0.82228 -0.44007  -0.60
C: 2.76050 -2.66944 0.35457  0.32
C: 2.78996 -3.53741 1.43938  -1.03
C: 2.77104 -4.91406 1.24082  -0.74
C: 2.72857 -5.43525 -0.04334  -0.89
C: 2.66740 -4.57337 -1.13403  -0.53
C: 2.66795 -3.20387 -0.93407  -0.75
C: 2.31364 0.26823 2.93649  -1.15
O: 1.22509 0.78697 2.24972  0.37
C: 0.38129 1.68051 2.86591  -1.17
C: -0.62786 2.24814 2.06310  0.10
C: -1.49288 3.14788 2.69144  -0.16
C: -1.38520 3.45980 4.03515  -1.97
C: -0.37368 2.89824 4.77833  -0.28
C: 0.53667 2.01503 4.21304  0.95
P: -0.71938 2.07432 0.19749  3.08
C: 0.39117 3.44649 -0.23129  -0.13
C: 1.66170 3.12929 -0.69253  0.17
C: 2.60686 4.13494 -0.86062  -0.37
C: 2.28098 5.45366 -0.59098  -1.02
C: 1.00411 5.77540 -0.13978  -0.96
C: 0.06931 4.77320 0.05427  -0.23
C: -2.40757 2.71698 -0.11840  0.43
C: -3.51526 2.18881 0.54483  -0.25
C: -4.79786 2.61776 0.24513  -0.94
C: -4.99659 3.57251 -0.74140  -0.61
C: -3.90698 4.09968 -1.41520  -0.97
C: -2.62100 3.67694 -1.10441  -0.75
H: 1.97779 0.45314 6.93813  0.40
H: 0.54396 -0.05050 6.03472  0.30
H: 0.55008 1.48202 6.91725  0.40
H: 3.39755 2.41998 6.07974  0.40
H: 1.95042 3.42960 6.08103  0.42
H: 2.91080 3.26674 4.60551  0.36
H: 3.91814 0.24473 5.88965  0.43
H: 5.44891 -1.20450 4.62205  0.42
H: 4.97891 -1.68202 2.23979  0.56
H: 5.16365 -2.54277 -0.46804  0.28
H: 7.34003 -1.88554 -1.39802  0.42
H: 7.89246 0.50500 -1.72056  0.38
H: 6.23366 2.24184 -1.10925  0.42
H: 4.04306 1.58639 -0.19703  0.01
H: 2.85931 -3.14597 2.44766  0.39
H: 2.81292 -5.57865 2.09573  0.41
H: 2.74381 -6.50687 -0.19605  0.36
H: 2.61954 -4.96436 -2.14172  0.52
H: 2.62167 -2.53687 -1.78894  0.29
H: -2.26070 3.63322 2.11803  0.59
H: -2.07656 4.16027 4.48442  0.42
H: -0.26530 3.16775 5.82189  0.40
H: 1.91361 2.10362 -0.93579  -0.30
H: 3.60149 3.88407 -1.21300  0.48
H: 3.01794 6.23403 -0.73321  0.40
H: 0.74135 6.80407 0.07130  0.44
H: -0.91251 5.02634 0.43726  0.39
H: -3.38376 1.42276 1.29652  0.35
H: -5.64531 2.18243 0.75910  0.44
H: -6.00034 3.89173 -0.99414  0.42
H: -4.04977 4.83311 -2.19795  0.41
H: -1.78255 4.06999 -1.65990  0.47
Se: -1.05864 1.34826 -3.16168  -0.39
P: -3.48632 0.14319 -2.69708  -0.69
____________
Sibling rivalry sparks after middle child rewarded for sacrifice
Parenting advice sparks agreement in comment section. NTA
Rewarding the middle child causes sibling rivalry? NTA explains.
Middle child’s act of service rewarded with car
Rewarding middle child with car causes sibling rivalry
Generous daughter gets rewarded with car, sparking sibling rivalry
Middle child rewarded for sacrifice, oldest shows entitlement
Reward for work done, not favoritism.
Middle child’s hard work pays off, sparking sibling rivalry
Sibling rivalry sparked over rewarded middle child’s sacrifice
Rewarding middle child for sacrifice is fair, eldest is entitled
Sibling rivalry sparked over rewarded middle child sacrifice
Responsible middle child rewarded with car, sparking sibling jealousy
Sibling drama over middle child’s car gift. NTA or ESH?
Middle child’s sacrifice rewarded with new car
Teen’s decision to help with siblings sparks debate. NTA.
Fairness in car distribution sparks sibling rivalry
Middle child rewarded for sacrifice, sibling cries favoritism. NTA
Fair compensation for childcare sparks sibling rivalry
Sibling rivalry sparks over middle child’s rewarded sacrifice
Rewarding the middle child for helping is fair. NTA
NTA keeps older car, sparks sibling rivalry
Middle child rewarded for sacrifice, NTA. Oldest daughter out of touch
21-year-old sister wants a new car after receiving 2006 Civic
Middle child’s new car sparks sibling rivalry over payment.
Middle child rewarded with car for babysitting, NTA say commenters.
Sibling rivalry sparked despite NTA’s generous and fair gesture
User defends parent’s decision to reward helpful child with car
Last Updated on March 7, 2024 by Diply Social Team